[Assignment]
The reader should work out how many lines below have the word "def2-TZVPD" in them; a number is enough.

[Listing]
235
Properties=species:S:1:pos:R:3:mulliken_charge:R:1 method="wB97M-V/def2-TZVPD" gap_ev=9.10 lumo_ev=0.476 charge=0 homo_energy_ev=-8.628
C -0.88 -4.53 2.23 0.372
O -0.08 -3.56 2.21 -0.639
N -1.94 -4.63 1.33 -0.268
N -0.78 -5.54 3.11 -0.383
H -2.65 -5.32 1.54 0.224
H -2.13 -3.85 0.65 -0.089
H -1.47 -6.28 3.17 0.207
H -0.15 -5.40 3.87 0.186
C 3.17 -1.74 -4.63 0.140
O 2.52 -1.49 -3.60 0.329
N 2.95 -2.79 -5.42 -0.468
N 4.18 -0.92 -5.00 -0.334
H 2.11 -3.25 -5.13 0.122
H 3.26 -2.77 -6.37 0.230
H 4.21 -0.04 -4.51 -0.207
H 4.85 -1.07 -5.75 0.201
C -3.14 1.17 0.03 0.011
O -3.08 0.15 0.70 -0.434
N -3.89 2.23 0.54 0.055
N -2.48 1.35 -1.12 1.718
H -4.58 2.01 1.28 0.025
H -3.97 3.11 0.04 -0.032
H -2.48 2.31 -1.38 -0.379
H -1.70 0.75 -1.26 -0.870
C 0.66 1.47 -5.21 -0.156
O 1.29 0.84 -6.02 -0.706
N 0.92 1.39 -3.86 2.555
N -0.25 2.40 -5.59 -0.093
H 1.32 0.45 -3.55 -1.113
H 0.21 1.67 -3.23 -0.866
H -1.01 2.70 -4.95 -0.003
H -0.44 2.29 -6.55 0.338
C 0.45 -1.12 -0.54 -0.597
O 0.09 -0.14 -1.26 0.292
N -0.04 -1.30 0.77 1.413
N 1.28 -2.07 -0.96 0.793
H -0.21 -2.24 1.18 -0.486
H -0.92 -0.72 0.80 -0.704
H 1.78 -1.93 -1.86 -0.438
H 1.52 -2.78 -0.25 -0.205
C -0.18 3.62 -1.53 -0.119
O -0.93 3.33 -2.51 -0.374
N 0.75 2.80 -0.94 1.454
N -0.37 4.82 -0.87 -0.442
H 1.02 3.02 0.02 -0.010
H 0.58 1.76 -1.10 -0.740
H 0.38 5.19 -0.32 0.239
H -0.68 5.59 -1.51 0.312
C 2.37 1.41 1.96 -0.117
C 2.75 2.86 2.16 0.149
C 3.81 3.38 1.20 -0.745
O 4.93 2.47 1.11 -0.319
C 6.15 2.85 0.53 -0.302
N 1.55 3.70 1.88 -0.429
H 3.13 0.75 2.46 0.654
H 2.46 1.08 0.94 -0.553
H 1.37 1.28 2.34 -0.160
H 3.08 2.92 3.19 0.445
H 4.11 4.42 1.62 0.435
H 3.32 3.54 0.19 0.086
H 6.18 2.61 -0.53 -0.114
H 6.97 2.22 0.91 0.143
H 6.33 3.91 0.71 0.431
H 1.67 4.71 2.03 0.280
H 0.75 3.29 2.35 -0.011
C 5.73 -4.94 -1.85 -1.918
C 4.65 -3.92 -1.45 1.164
C 4.27 -4.19 0.01 -1.508
O 3.22 -3.38 0.51 0.016
C 3.67 -2.25 1.28 0.916
N 5.14 -2.55 -1.70 0.180
H 6.14 -4.88 -2.85 0.448
H 5.36 -5.93 -1.73 0.491
H 6.61 -4.84 -1.23 0.404
H 3.78 -4.09 -2.08 -0.033
H 5.20 -4.11 0.54 0.522
H 3.89 -5.23 0.04 0.392
H 3.96 -1.43 0.58 -0.271
H 4.44 -2.48 2.03 0.677
H 2.75 -1.95 1.82 -1.205
H 4.42 -1.81 -1.74 -0.731
H 5.41 -2.57 -2.68 0.392
C -4.76 -3.29 -1.14 -1.717
C -3.59 -2.66 -1.82 -0.055
C -3.90 -1.24 -2.26 0.449
O -4.64 -1.18 -3.50 -0.484
C -4.97 0.14 -3.81 -0.457
N -2.41 -2.58 -0.93 -0.188
H -4.90 -2.57 -0.31 0.230
H -4.55 -4.27 -0.75 0.415
H -5.56 -3.37 -1.88 0.389
H -3.29 -3.27 -2.64 0.356
H -3.00 -0.65 -2.51 -0.325
H -4.37 -0.72 -1.47 0.630
H -4.09 0.78 -4.13 -0.143
H -5.46 0.62 -2.97 0.354
H -5.66 0.13 -4.72 0.315
H -1.54 -2.26 -1.35 -0.328
H -2.53 -1.84 -0.19 0.439
C -0.53 1.00 7.58 -1.620
C -0.46 0.79 5.98 2.531
C -0.18 2.20 5.36 -1.710
O -0.29 2.14 3.93 0.033
C -1.59 2.30 3.38 0.248
N 0.65 -0.09 5.66 -0.158
H -0.45 0.04 8.09 0.376
H -1.46 1.60 7.85 0.341
H 0.27 1.67 7.89 0.409
H -1.50 0.46 5.65 -1.186
H 0.80 2.49 5.63 0.443
H -0.85 2.96 5.75 0.410
H -1.58 2.21 2.30 -0.379
H -2.14 3.24 3.62 0.385
H -2.11 1.37 3.73 -0.177
H 0.40 -1.09 5.71 -0.166
H 1.00 0.09 4.72 0.089
C -3.66 -0.58 7.43 -1.237
C -4.35 -1.68 6.64 0.683
C -3.63 -2.00 5.35 -0.421
O -3.58 -0.86 4.57 -0.035
C -2.75 -1.18 3.41 0.246
N -4.31 -2.94 7.45 -0.649
H -4.23 -0.26 8.31 0.508
H -3.37 0.28 6.77 0.018
H -2.62 -0.90 7.80 0.227
H -5.40 -1.40 6.39 0.133
H -4.05 -2.82 4.75 0.603
H -2.63 -2.27 5.66 -0.391
H -2.75 -2.22 3.08 0.584
H -1.71 -1.10 3.74 0.199
H -2.93 -0.53 2.55 -0.618
H -4.81 -2.82 8.29 0.251
H -4.86 -3.62 6.89 0.262
C 2.88 -2.37 4.51 -0.809
C 2.41 -3.72 4.99 0.018
C 1.08 -3.50 5.55 0.294
O 0.43 -4.69 6.00 -0.471
C -0.77 -4.51 6.67 -0.723
N 2.38 -4.72 3.89 -0.525
H 3.92 -2.31 4.20 0.531
H 2.80 -1.50 5.27 0.400
H 2.26 -2.02 3.66 -0.237
H 3.07 -4.08 5.77 0.447
H 0.48 -2.89 4.80 -0.537
H 1.25 -2.84 6.48 0.737
H -0.98 -5.50 7.08 0.371
H -1.66 -4.20 6.09 0.172
H -0.72 -3.82 7.51 0.342
H 3.26 -4.93 3.43 0.368
H 1.77 -4.29 3.18 -0.287
C -7.66 2.96 1.51 -1.125
C -7.30 2.28 2.74 0.587
C -7.70 0.75 2.74 -0.918
O -7.70 0.31 4.12 -0.309

[Solution]
1